## Exercise
The reader should find the line further below that holds "Functional: PBE-GGA", then duplicate that line and all lines after it there.

## Material
/*
Compound: La2SmDy7
Source: Alexandria
Functional: PBE-GGA
Structure: relaxed

Output
formation enthalpy at 0 K: 161 meV per atom
total moment: 0.0 μB per formula unit
polymorph energy (0 for the lowest one): 0.137 eV per atom

Cell lengths 6.5881, 29.0779, 3.5175 Å; angles 90.00, 90.00, 90.00 degrees
With the nearest neighbours (Å) after each atom.
Space group Cmmm (No. 65)
Symmetry-distinct sites (fractional):
*/

## Here it is
Functional: PBE-GGA
Structure: relaxed

Output
formation enthalpy at 0 K: 161 meV per atom
total moment: 0.0 μB per formula unit
polymorph energy (0 for the lowest one): 0.137 eV per atom

Cell lengths 6.5881, 29.0779, 3.5175 Å; angles 90.00, 90.00, 90.00 degrees
With the nearest neighbours (Å) after each atom.
Space group Cmmm (No. 65)
Symmetry-distinct sites (fractional):